How future-proof are family businesses? Sentech as employer

Since the arrival of the coronavirus, working in the high-tech sector has changed drastically. Sentech as an employer has adjusted to the new situation. “It means compromising and adjusting to the changed world. But despite that, everything is continuing,” said Marcel Figge, the director and owner of Sentech. What do all the changes mean for the future? Are family businesses still future-proof? And how do they respond to the challenge of building the ideal company – for the employees as well as the employer?
Figge responds: “We do business with the pearls of the Dutch manufacturing industry, and our employees are able to fully develop themselves. What’s greater than that?” Over the past twenty years, Sentech has grown from a family business with just two employees to a company of fifty employees with revenue of approximately 15 million euro per year. Yet, numbers are not the sensor integrator’s primary concern.
“We can maneuver quickly, just as other companies that are led by a director and major shareholder,” explains Figge. “Because of the corona crisis, we are forced to keep the undistributed dividend in the company. That has been possible because the company is practically 100% owned by my wife and me, so we are not dependent on financiers or banks or parties who want and must have everything from us. We ourselves are at the helm.”
Sentech also notices that some customers are placing fewer orders due to the corona crisis. Otherwise, business is continuing as usual. “We are able to pay salary, we don’t have to dismiss any employees. Business will just be a little less this year,” says Figge.
High-tech companies make adjustments
At the beginning of this year, when the coronavirus came out of nowhere, many risks developed. When China threatened to shut down, the supply chain employees immediately took action. As a high-tech company, Sentech has almost doubled its inventory and adjusted itself to the changed world.
“We said to each other, ‘Let’s make sure that inventories are up-to-date, certainly the hard runners.’ It even brought us compliments from customers, including ASML. Increasing inventories is almost taboo for a listed company. ‘It costs way too much money,’ they say,” according to the director-owner.
Sentech as employer: “The company culture is very important!”
According to Figge, whether family businesses are future-proof depends partly on the company culture. “If people feel good about themselves, good returns take care of themselves. Management must support the employees unconditionally.”
Technically speaking, Sentech was already prepared but the corona crisis has brought about more working from home by the team. Actually, only production workers and logistics employees are at the office each day. They now work in shifts. Figge elaborates, “In the first week of the crisis, I dropped in one evening to check in with them and that was very appreciated. It’s precisely in these times that you need to have an eye for the little things – a card here, a few words there. ‘How’s it going, how do you feel about things?'”
Switching to a lower gear
Marcel Figge primarily keeps himself busy at Sentech with business development, with making budget agreements, with team development, and with the encouragement of entrepreneurship among employees. “You don’t just easily hand over all the knowledge and experience you have amassed in twenty years.”
Switching to a lower gear and delegating is part of making a company future-proof. “Until recently, I was involved with my company night and day. I have now reduced that to three days a week. After all, running around all the time doesn’t work. The dilemma here is that employees still see me as the big boss. I would like to see others take center stage more often.”
As its founder, Figge has performed every role at Sentech. “From development and production to clean room work and sales. Now I have to increasingly distance myself. I must not convey too strictly what I think of something; sometimes it’s good to let things go wrong. A general director coming in from the outside would probably have it easier – they know less about the products and can simply manage for objectives.”
Working at Sentech means continuing to include people
Companies are often busy establishing and fine-tuning all sorts of processes and procedures to get employees involved and engaged. Figge feels that those are much needed in a company’s operational management, but here it mostly concerns investing in HRM and training. The improvement of your internal communication is also a part of this.
“If a supplier of that new kitchen does not deliver as expected, this is nearly always because of the commitment of the employees. The salesperson or technician was not paying attention or the warehouse loaded the items incorrectly. To what extent do the people in your company want to deliver the very best product?”
A real mutual connection is developed when managers speak more often about the current situation. “‘We do this for this-and-this reason; what do you think about that?’ People want to be included,” Figge concludes.
Therefore, train people in their communicative skills, certainly if someone grows from an operational to a tactical level. “The question is whether that person is capable of communicating. Actually, you should hire employees not just for the current moment but also with a view to the competencies required in, say, three years.”
Changes over the past 10 years in the family business
Ten years ago in Link Magazine, Sentech’s director and owner said, “I feel like the employee who makes the final decisions.” How does he feel about that now? “I am still the leader who determines the main direction but, above all, I am someone who puts his trust in the organization.”
A leadership course taught Figge how important it is to grow by delaying. “By removing yourself from the day-to-day issues more often, by asking questions instead of positing your opinion, you foster your company’s growth.”
Sentech does business with the ‘pearls’ of the Dutch manufacturing industry. As Figge says, “We come through on our promises, even in times of crisis. Customers know that we have our house in very good order, our quality system is of a high level. If we promise to do something then we do it.”
All of this lies very close to the character of the director-owner. “Employees work at a company where there is a lot of attention for each other and where they can grow. We – all of us – have built the ideal company together,” concludes Figge proudly.
Unrelated to this entry: materials data:
=====
*1*
# LiCrP2O7

A relaxed LiCrP2O7 crystal (PBE with a Hubbard U, Materials Project).

Output
- Crystal system: monoclinic
- Symmetry: P2_1/c

abc: 5.0416 13.4496 9.5020
angles: 90.00 121.42 90.00
Closest atoms and distances in Å follow each position.
Element x y z (fractional)
Li1 0.0102 0.1198 0.3565  2 O 1.95-2.17
Li2 0.0102 0.3802 0.8565  2 O 1.95-2.17
Li3 0.9898 0.6198 0.1435  2 O 1.95-2.17
Li4 0.9898 0.8802 0.6435  2 O 1.95-2.17
Cr1 0.0268 0.1679 0.7338  5 O 1.95-2.03
Cr2 0.0268 0.3321 0.2338  5 O 1.95-2.03
Cr3 0.9732 0.6679 0.7662  5 O 1.95-2.03
Cr4 0.9732 0.8321 0.2662  5 O 1.95-2.03
P1 0.2693 0.6781 0.5394  4 O 1.53-1.61
P2 0.2693 0.8219 0.0394  4 O 1.53-1.61
P3 0.4816 0.5288 0.7744  3 O 1.48-1.57
P4 0.4816 0.9712 0.2744  3 O 1.48-1.57
P5 0.5184 0.0288 0.7256  3 O 1.48-1.57
P6 0.5184 0.4712 0.2256  3 O 1.48-1.57
P7 0.7307 0.1781 0.9606  4 O 1.53-1.61
P8 0.7307 0.3219 0.4606  4 O 1.53-1.61
O1 0.0261 0.6939 0.3564  1 P 1.53
O2 0.0261 0.8061 0.8564  1 P 1.53
O3 0.1702 0.7253 0.6514  1 P 1.53
O4 0.1702 0.7747 0.1514  1 P 1.53
O5 0.2201 0.5443 0.8148  1 P 1.57
O6 0.2201 0.9557 0.3148  1 P 1.57
O7 0.2560 0.1077 0.6316  1 P 1.56
O8 0.2560 0.3923 0.1316  1 P 1.56
O9 0.3071 0.5603 0.5762  2 P 1.61-1.67
O10 0.3071 0.9397 0.0762  2 P 1.61-1.67
O11 0.4060 0.5750 0.2094  1 P 1.48
O12 0.4060 0.9250 0.7094  1 P 1.48
O13 0.4136 0.2156 0.9243  1 P 1.53
O14 0.4136 0.2844 0.4243  1 P 1.53
O15 0.5864 0.7156 0.5757  1 P 1.53
O16 0.5864 0.7844 0.0757  1 P 1.53
O17 0.5940 0.0750 0.2906  1 P 1.48
O18 0.5940 0.4250 0.7906  1 P 1.48
O19 0.6929 0.0603 0.9238  2 P 1.61-1.67
O20 0.6929 0.4397 0.4238  2 P 1.61-1.67
O21 0.7440 0.6077 0.8684  1 P 1.56
O22 0.7440 0.8923 0.3684  1 P 1.56
O23 0.7799 0.0443 0.6852  1 P 1.57
O24 0.7799 0.4557 0.1852  1 P 1.57
O25 0.8298 0.2253 0.8486  1 P 1.53
O26 0.8298 0.2747 0.3486  1 P 1.53
O27 0.9739 0.1939 0.1436  1 P 1.53
O28 0.9739 0.3061 0.6437  1 P 1.53

---

*2*
# LiCrP2O7

A relaxed LiCrP2O7 crystal (PBE with a Hubbard U, Materials Project).

Output
- Crystal system: monoclinic
- Symmetry: Cc

abc: 5.2789 5.2789 9.0163
angles: 97.67 97.67 104.12
Closest atoms and distances in Å follow each position.
Element x y z (fractional)
Li1 0.1970 0.8030 0.5000  5 O 2.12-2.22
Li2 0.8030 0.1970 0.0000  5 O 2.12-2.22
Cr1 0.1701 0.8169 0.0023  6 O 1.97-2.17
Cr2 0.8169 0.1701 0.5023  6 O 1.97-2.17
P1 0.2659 0.2829 0.7997  4 O 1.53-1.58
P2 0.2829 0.2659 0.2997  4 O 1.53-1.58
P3 0.7108 0.7173 0.2055  4 O 1.53-1.58
P4 0.7173 0.7108 0.7055  4 O 1.53-1.58
O1 0.1097 0.4372 0.8912  1 P 1.53
O2 0.1128 0.4008 0.3926  1 P 1.54
O3 0.1148 0.1205 0.6446  1 P 1.54
O4 0.1205 0.1148 0.1446  1 P 1.54
O5 0.4008 0.1128 0.8926  1 P 1.54
O6 0.4372 0.1097 0.3912  1 P 1.53
O7 0.4815 0.5114 0.7544  2 P 1.58
O8 0.5114 0.4815 0.2544  2 P 1.58
O9 0.5420 0.8583 0.1128  1 P 1.53
O10 0.5953 0.8905 0.6130  1 P 1.54
O11 0.8583 0.5420 0.6128  1 P 1.53
O12 0.8702 0.8784 0.3590  1 P 1.54
O13 0.8784 0.8702 0.8590  1 P 1.54
O14 0.8905 0.5953 0.1130  1 P 1.54

---

*3*
# LiCrP2O7
=====
End of the materials data:
Changes at work due to digitization
It’s not only Covid-19 that exerts a great deal of influence over the work environment within companies; digitization, too, means that your job can be done differently. You can read about how you can deal with this in the future in an earlier Link Magazine article.
Create your own future-proof job.
This article appeared in Link Magazine no 3 2020 and was written by Lucy Holl.